Пример #1
def calPredictions(thisTree, Wcat, Wv, indicies, sStr, params):
    wsz = params.wordSize
    # vecPath - contains the vectors along the node path
    # nodePath - contains the nodes along the node path
    thisTree.nodePath = findPath(thisTree, indicies) 
    # Get the internal features
    thisTree.features = getInternalFeatures(thisTree.nodePath, sStr, indicies, params.features_mean, params.features_std)
    # Add only the top node
    thisTree.nodePath = np.max(thisTree.nodePath)
    thisTree.pooledVecPath = thisTree.nodeAct_a[:,thisTree.nodePath].reshape(wsz,1)  
    # Add the elements
    thisTree.pooledVecPath = np.hstack((thisTree.pooledVecPath, thisTree.nodeAct_a[:,[indicies[0]]], thisTree.nodeAct_a[:,[indicies[1]]]))
    thisTree.nodePath = np.array([thisTree.nodePath, indicies[0], indicies[1]], dtype='int32')
    thisTree.poolMatrix = np.eye(3*wsz)
    # add outer context words
    thisTree = addOuterContext(thisTree, indicies, len(sStr), params);
    # add inner context words
    thisTree = addInnerContext(thisTree,indicies, Wv, len(sStr), params);
    # add in nearest neighbors
#    thisTree = addNN(thisTree, Wv, sNN, params);  #bhanu 
    catInput = np.concatenate((thisTree.pooledVecPath.flatten(), thisTree.features))#, thisTree.NN_vecs.flatten())) #bhanu    
    thisTree.score = np.dot(Wcat, np.transpose(catInput)) #score for each label/tag
    num = np.exp(thisTree.score)
    thisTree.y = np.divide(num, np.sum(num))  #conditional probs for each tag/label
Пример #2
 def _setInternalFeatureStats(self, data):
     # features [path length, path depth1, path depth2, sentence length, length between elements]
     numFeatures = 5;
     self.features_mean = 0;
     self.features_std = np.ones(numFeatures);
     totaltrees = 0
     for s in range(len(data.allSStr)):
         nverbs = len(data.verbIndices[s].flatten())
         sentLength = len(data.allSStr[s].flatten())
         totaltrees += nverbs*sentLength
     allFeatures = np.zeros((totaltrees,numFeatures));
     thisTree = Tree()
     for s in range(len(data.allSStr)):
         thisTree.pp = data.allSTree[s].flatten()
         verbIndexesList = data.verbIndices[s].flatten()
         for  vid in verbIndexesList:
             for wid in range(len(data.allSStr[s])):    
                 indices = [vid, wid]        
                 fullPath = findPath(thisTree, indices)
                 allFeatures[s,:] = getInternalFeatures(fullPath, data.allSNum[s], indices, self.features_mean, self.features_std);
     # Find the mean
     self.features_mean = np.mean(allFeatures,axis=0); # check this
     allFeatures = allFeatures - self.features_mean
     # Find the standard deviation
     self.features_std  = np.std(allFeatures, axis=0)
Пример #3
def calPredictions(thisTree, Wcat, Wv, indicies, sStr, params):
    wsz = params.wordSize
    # vecPath - contains the vectors along the node path
    # nodePath - contains the nodes along the node path
    thisTree.nodePath = findPath(thisTree, indicies)

    # Get the internal features
    thisTree.features = getInternalFeatures(thisTree.nodePath, sStr, indicies,

## Next to the page, the page also holds data records
{"formula": "C23H28NO2", "method": "ωB97M-V/def2-TZVPD", "de_lowest_kj_mol": 279.7, "charge": 1, "e_homo_ev": -10.64, "orbital_gap_ev": 5.8912, "elements": ["O", "O", "N", "C", "C", "C", "C", "C", "C", "C", "C", "C", "C", "C", "C", "C", "C", "C", "C", "C", "C", "C", "C", "C", "C", "C", "H", "H", "H", "H", "H", "H", "H", "H", "H", "H", "H", "H", "H", "H", "H", "H", "H", "H", "H", "H", "H", "H", "H", "H", "H", "H", "H", "H"], "xyz": [[-3.655, -4.279, -1.598], [5.068, 0.589, -1.790], [-2.376, -1.779, -1.285], [-1.903, -0.510, -1.168], [3.014, -0.399, -1.268], [-3.083, -3.682, -2.759], [-1.434, 1.636, -0.284], [3.532, 1.738, -0.223], [0.323, 0.890, 2.609], [1.534, 0.484, 0.441], [1.455, 1.449, 3.263], [0.431, 0.178, 1.321], [3.906, 0.685, -1.093], [-1.417, 1.748, -1.836], [-1.447, 0.164, -0.018], [1.857, -0.487, -0.537], [-0.916, 0.990, 3.280], [2.311, 1.683, 0.441], [-2.951, -4.022, -0.387], [-2.779, -2.527, -0.103], [-2.882, -2.183, -2.617], [6.097, 1.595, -1.671], [0.120, 2.163, 5.159], [-1.866, 0.385, -2.391], [1.339, 2.107, 4.488], [-0.995, 1.585, 4.542], [-3.732, -2.165, 0.334], [-2.849, 0.496, -2.886], [3.292, -1.167, -1.981], [-3.837, -1.669, -2.874], [-1.952, 1.620, 5.062], [-2.135, -1.889, -3.362], [2.451, 1.346, 2.830], [0.248, -0.918, 1.425], [-1.636, -0.271, 0.965], [-1.829, 0.588, 2.816], [-1.164, 0.007, -3.155], [0.043, 2.669, 6.121], [-3.823, -3.871, -3.548], [1.197, -1.351, -0.650], [-0.616, 2.168, 0.209], [4.218, 2.585, -0.090], [-1.956, -4.517, -0.402], [-0.385, 1.940, -2.148], [6.846, 1.276, -2.389], [6.528, 1.610, -0.662], [-2.372, 2.089, 0.047], [-3.597, -4.488, 0.377], [2.012, 2.561, 1.028], [-2.118, -4.156, -3.011], [5.711, 2.588, -1.939], [2.223, 2.575, 4.917], [-2.000, -2.429, 0.659], [-2.052, 2.572, -2.210]], "nbo_charge": [-0.51, -0.47, -0.37, 0.35, -0.27, -0.08, -0.42, -0.34, -0.07, -0.22, -0.20, 0.08, 0.40, -0.40, -0.37, -0.10, -0.19, -0.05, -0.07, -0.24, -0.24, -0.26, -0.17, -0.46, -0.19, -0.20, 0.21, 0.24, 0.24, 0.20, 0.23, 0.22, 0.23, 0.22, 0.23, 0.22, 0.24, 0.24, 0.22, 0.22, 0.20, 0.24, 0.17, 0.21, 0.22, 0.19, 0.21, 0.22, 0.23, 0.17, 0.19, 0.23, 0.21, 0.23]}

***
## Here the page continues

    # Add only the top node
    thisTree.nodePath = np.max(thisTree.nodePath)
    thisTree.pooledVecPath = thisTree.nodeAct_a[:, thisTree.nodePath].reshape(
        wsz, 1)

    # Add the elements
    thisTree.pooledVecPath = np.hstack(
        (thisTree.pooledVecPath, thisTree.nodeAct_a[:, [indicies[0]]],
         thisTree.nodeAct_a[:, [indicies[1]]]))
    thisTree.nodePath = np.array([thisTree.nodePath, indicies[0], indicies[1]],
    thisTree.poolMatrix = np.eye(3 * wsz)

    # add outer context words
    thisTree = addOuterContext(thisTree, indicies, len(sStr), params)

    # add inner context words
    thisTree = addInnerContext(thisTree, indicies, Wv, len(sStr), params)

    # add in nearest neighbors
    #    thisTree = addNN(thisTree, Wv, sNN, params);  #bhanu

-- Unrelated to this article: data records --
1.
Here is an isolated molecule of C13H13NO4 in a non-equilibrium geometry from the Open Molecules 2025 dataset. Energies are from wB97M-V/def2-TZVPD.

Each line ends with the Löwdin charge.
Cartesian coordinates (Å):
1 O 2.56 -3.13 1.38  0.0994
2 C 2.44 -2.21 0.62  -0.3285
3 O 3.52 -1.81 -0.14  -0.0656
4 C 3.87 -0.42 0.08  -0.1629
5 C 2.68 0.54 -0.38  -0.1813
6 C 1.91 1.17 0.83  -0.1973
7 C 0.71 2.12 0.44  -0.1550
8 C -0.51 1.25 0.01  -0.1806
9 C -0.52 0.70 -1.35  -0.0187
10 C -1.57 -0.14 -1.87  0.0167
11 C -2.68 -0.44 -0.98  -0.0590
12 C -2.67 0.11 0.37  -0.0501
13 C -1.63 0.97 0.90  0.0517
14 C -3.97 -0.44 1.01  -0.3739
15 O -4.35 -0.44 2.14  0.1230
16 N -4.75 -1.08 -0.04  0.1481
17 C -3.95 -1.29 -1.21  -0.3918
18 O -4.17 -1.93 -2.20  0.1262
19 H 1.41 -1.75 0.55  0.1507
20 H 4.71 -0.21 -0.62  0.1272
21 H 4.17 -0.22 1.14  0.1325
22 H 2.04 -0.09 -1.05  0.0958
23 H 3.10 1.36 -1.02  0.1192
24 H 1.51 0.35 1.49  0.1107
25 H 2.64 1.78 1.42  0.1189
26 H 0.41 2.65 1.39  0.1147
27 H 0.98 2.91 -0.30  0.1215
28 H 0.35 0.93 -2.01  0.1059
29 H -1.60 -0.59 -2.89  0.1206
30 H -1.71 1.37 1.92  0.1258
31 H -4.94 -2.01 0.36  0.1563

The SMILES is O=COCCCCc1ccc2c(c1)C(=O)NC2=O. The frontier orbital gap comes out at 0.340 Ha. As for the net charge: 0. The calculation puts the largest force on an atom at 2.91 eV Å⁻¹.



2.
Here is the ion C5H9N2O with charge +1 in a non-equilibrium geometry from the Open Molecules 2025 dataset. Energies are from wB97M-V/def2-TZVPD.

Each line ends with the Löwdin charge.
Cartesian coordinates (Å):
1 H -1.30 3.02 -0.20  0.0813
2 N -1.76 2.13 -0.08  0.2216
3 C -1.18 1.05 -0.19  -0.2084
4 C -1.63 -0.51 0.14  -0.2589
5 O -2.63 -1.11 0.11  0.2122
6 C -0.14 -0.82 0.34  -0.2438
7 C 0.33 -2.15 -0.24  -0.0261
8 C 0.26 0.50 -0.36  -0.1820
9 N 1.35 1.30 0.27  0.2455
10 H 0.08 -0.79 1.41  0.1619
11 H -0.20 -2.95 0.26  0.1000
12 H 1.40 -2.30 -0.09  0.0856
13 H 0.12 -2.21 -1.30  0.0956
14 H 0.48 0.34 -1.42  0.1720
15 H 1.49 0.98 1.24  0.1823
16 H 1.08 2.30 0.32  0.1751
17 H 2.24 1.22 -0.24  0.1860

The SMILES is [H]/N=C1/C(=O)[C@@H](C)[C@@H]1[NH3+]. The frontier orbital gap comes out at 0.334 Ha. As for the net charge: +1. The calculation puts the largest force on an atom at 2.46 eV Å⁻¹.



3.
Here is a structure of composition C30H40BN9O8Pb in a non-equilibrium geometry from the Open Molecules 2025 dataset. Energies are from wB97M-V/def2-TZVPD.

Each line ends with the Löwdin charge.
Cartesian coordinates (Å):
1 Pb 11.28 13.27 9.01  1.6667
2 C 6.70 11.97 10.11  -0.0717
3 C 6.31 12.29 8.68  -0.3725
4 C 5.47 11.20 7.93  -0.0753
5 C 7.52 12.74 7.85  -0.2701
6 C 8.07 12.21 6.62  0.0010
7 C 9.17 13.03 6.32  -0.0987
8 N 9.23 13.99 7.30  -0.1319
9 N 8.25 13.75 8.25  0.1153
10 B 9.96 15.33 6.99  -0.5951
11 N 11.42 15.07 6.41  -0.0319
12 C 12.25 15.81 5.62  -0.0599
13 C 13.40 15.07 5.38  0.0037
14 C 13.16 13.84 6.08  -0.3187
15 N 11.97 13.85 6.59  -0.0615
16 C 14.05 12.63 6.18  -0.3955
17 C 15.42 12.94 6.73  -0.0732
18 C 14.16 11.97 4.81  -0.0636

    catInput = np.concatenate(
         thisTree.features))  #, thisTree.NN_vecs.flatten())) #bhanu
    thisTree.score = np.dot(Wcat,
                            np.transpose(catInput))  #score for each label/tag

    num = np.exp(thisTree.score)
    thisTree.y = np.divide(num,
                           np.sum(num))  #conditional probs for each tag/label